Contents.
/*
(one)
Material: Mg6ZrW
Method: DFT, PBE
State: relaxed

The magnetization comes out at 0.003 μB per cell. The calculation puts the volume at 331.54 Å³/cell.

a b c (Å): 5.0448 5.7938 11.3428
angles (deg): 90.00 90.00 90.00
Positions (direct):
Mg  0.0000  0.7422  0.0837
W  0.5000  0.0000  0.6715
Mg  0.0000  0.2422  0.5837
Zr  0.5000  0.0000  0.1744
Mg  0.0000  0.7578  0.5837
Mg  0.5000  0.2498  0.4250
Mg  0.0000  0.5000  0.3111
Mg  0.5000  0.7498  0.9250
Zr  0.5000  0.5000  0.6744
Mg  0.0000  0.5000  0.8256
Mg  0.0000  0.2578  0.0837
Mg  0.0000  0.0000  0.3256
W  0.5000  0.5000  0.1715
Mg  0.0000  0.0000  0.8111
Mg  0.5000  0.7502  0.4250
Mg  0.5000  0.2502  0.9250

(two)
Material: Mg6ZrW
Method: DFT, PBE
State: relaxed

The magnetization comes out at 0.002 μB per cell. The calculation puts the volume at 334.93 Å³/cell.

a b c (Å): 4.9420 6.0791 11.1485
angles (deg): 90.00 90.00 90.00
Positions (direct):
Mg  0.5000  0.2532  0.4277
Zr  0.0000  0.5000  0.3005
Mg  0.5000  0.0000  0.1753
Mg  0.5000  0.7468  0.4277
Mg  0.0000  0.7437  0.0708
Mg  0.0000  0.7563  0.5708
W  0.5000  0.0000  0.6984
Mg  0.5000  0.2468  0.9277
Mg  0.0000  0.2563  0.0708
W  0.5000  0.5000  0.1984
Mg  0.0000  0.0000  0.3286
Mg  0.5000  0.5000  0.6753
Zr  0.0000  0.0000  0.8005
Mg  0.5000  0.7532  0.9277
Mg  0.0000  0.5000  0.8286
Mg  0.0000  0.2437  0.5708

Compare the structures above. Which one is the most stable? (two) is.

----------

(1)
A geometry-optimized CaEu3 structure, computed with meta-GGA r2SCAN.

POSCAR file:
```
CaEu3
1.0
0.000 4.465 4.465
4.465 0.000 4.465
4.465 4.465 0.000
Ca Eu
1 3
Cartesian
0.000 0.000 0.000 Ca
2.232 2.232 2.232 Eu
6.697 6.697 6.697 Eu
4.465 4.465 4.465 Eu
```

Calculated values
E_form ... 0.037 eV/atom
E ... -122.45 eV/cell
Total magnetic moment ... 23.77 μB/cell

(2)
A geometry-optimized Ta2AgF12 structure, computed with meta-GGA r2SCAN.

POSCAR file:
```
Ta2AgF12
1.0
5.063 -0.017 0.154
2.398 4.781 1.309
0.054 -0.038 8.930
Ta Ag F
2 1 12
Cartesian
2.437 2.446 7.158 Ta
5.079 2.280 3.236 Ta
0.000 0.000 0.000 Ag
1.525 1.221 2.822 F
5.991 3.505 7.572 F
5.823 3.475 1.780 F
3.269 3.529 5.908 F
4.247 1.197 4.486 F
1.635 1.284 5.949 F
5.881 3.442 4.445 F
4.007 1.382 7.428 F
3.508 3.344 2.966 F
3.180 3.473 8.716 F
4.336 1.253 1.678 F
1.693 1.251 8.614 F
```

Calculated values
E_form ... -2.998 eV/atom
E ... -201.03 eV/cell
Total magnetic moment ... 1.00 μB/cell

(3)
A geometry-optimized HoErHg2 structure, computed with meta-GGA r2SCAN.

POSCAR file:
```
HoErHg2
1.0
2.867 0.119 4.316
0.862 4.504 2.414
-2.241 0.959 4.574
Ho Er Hg
1 1 2
Cartesian
0.000 0.000 0.000 Ho
0.744 2.791 5.652 Er
0.372 1.396 2.826 Hg
1.116 4.187 8.478 Hg
```

Calculated values
E_form ... -0.573 eV/atom
E ... -167.83 eV/cell
Total magnetic moment ... 0.00 μB/cell

(4)
A geometry-optimized BaMg2P2 structure, computed with meta-GGA r2SCAN.

POSCAR file:
```
BaMg2P2
1.0
-1.204 4.176 0.494
0.747 -2.491 3.517
7.326 2.118 -0.055
Ba Mg P
1 2 2
Cartesian
0.000 0.000 0.000 Ba
2.217 2.755 1.481 Mg
4.652 1.048 2.475 Mg
4.730 3.482 1.462 P
2.139 0.322 2.494 P
```

Calculated values
E_form ... -1.081 eV/atom
E ... -58.25 eV/cell
Total magnetic moment ... 0.00 μB/cell

(5)
A geometry-optimized EuNiGe3 structure, computed with meta-GGA r2SCAN.

POSCAR file:
```
EuNiGe3
1.0
-2.166 2.166 4.906
2.166 -2.166 4.906
2.166 2.166 -4.906
Eu Ni Ge
1 1 3
Cartesian
0.000 0.000 0.016 Eu
0.000 0.000 3.395 Ni
2.166 0.000 2.427 Ge
0.000 2.166 2.427 Ge
0.000 0.000 5.723 Ge
```

Calculated values
E_form ... -0.533 eV/atom
E ... -94.78 eV/cell
Total magnetic moment ... 6.81 μB/cell

(6)
A geometry-optimized K3Cu2P4HO14 structure, computed with meta-GGA r2SCAN.

POSCAR file:
```
K3Cu2P4HO14
1.0
5.262 -0.009 -0.011
-2.513 4.916 -0.008
-2.275 -1.292 12.419
K Cu P H O
3 2 4 1 14
Cartesian
-1.138 -0.646 6.209 K
1.687 -0.479 11.621 K
-1.213 4.094 0.778 K
-3.571 2.794 9.679 Cu
4.045 0.820 2.720 Cu
-0.915 1.215 10.436 P
1.389 2.399 1.963 P
-0.939 2.647 8.038 P
1.413 0.967 4.361 P
*/
Brief.
Now say how many lines of the notes above hold the word "out", as a bare number.
Response.
2